Job:
Could you transcribe the rows underneath from the first line to the one with "0.7744 1.0047" without altering anything?
Contents:
........
Record 1
75
Properties=species:S:1:pos:R:3:lowdin_charge:R:1 method="wB97M-V/def2-TZVPD" lumo_energy_ev=1.89 gap_ev=6.85 max_force_ev_per_a=4.68 relative_energy_kj_mol=332.58 total_charge=-1 homo_energy_ev=-4.96 e_tot_ev=-116844.598
C -4.4037 6.0382 -1.6204 -0.180
C -4.5135 5.6842 -3.2402 -0.340
C -3.8893 6.8428 -4.2181 -0.793
Br -4.2005 8.7254 -3.6045 0.447
Al -1.8819 6.6190 -4.6413 0.179
C -1.2057 4.6906 -4.4630 -0.235
C 0.0935 4.4999 -3.4739 -0.297
O 0.5212 5.7495 -2.8016 -0.138
C -0.1806 3.2489 -2.4053 -0.194
F -0.8270 2.0702 -3.0316 -0.002
F 1.1490 2.7566 -1.8836 -0.042
F -1.0231 3.7621 -1.2998 0.011
H -5.0051 7.0122 -1.3238 0.050
H -3.2962 6.1115 -1.2495 0.076
H -4.9007 5.1452 -1.0380 0.063
H -5.6793 5.6312 -3.4806 0.096
H -4.1033 4.5978 -3.4371 0.089
H -4.4500 6.7428 -5.2674 0.049
H -1.7210 7.0183 -6.1958 -0.110
H -0.9474 7.6464 -3.8379 -0.093
H -0.9046 4.2528 -5.5211 0.067
H -2.0958 4.0324 -4.0772 0.044
H 1.0185 4.1457 -4.1370 0.156
H 1.5171 5.8356 -2.9954 0.123
C 1.2033 -1.6966 0.1437 -0.073
C 1.3575 -2.7979 -0.9009 -0.431
C 2.3157 -2.4241 -2.0559 -0.198
O 1.7566 -1.5248 -3.0172 -0.191
C 1.7931 -0.1593 -2.6329 -0.115
N 0.0254 -3.1688 -1.4044 0.040
H 0.5566 -0.8816 -0.1922 0.073
H 0.7548 -2.1006 1.0590 0.069
H 2.1760 -1.2712 0.4118 0.078
H 1.7846 -3.6700 -0.3903 0.115
H 2.5450 -3.3417 -2.6121 0.118
H 3.2729 -2.0448 -1.6797 0.116
H 2.6864 0.0827 -2.0489 0.091
H 0.8907 0.0955 -2.0753 0.062
H 1.7981 0.4490 -3.5424 0.090
H 0.1244 -3.9721 -2.0271 0.069
H -0.2827 -2.4174 -2.0278 0.076
C 1.9016 -7.1278 2.7042 -0.078
C 1.3896 -6.2111 1.5971 -0.432
C 0.0697 -5.4887 1.9541 -0.194
O -1.0945 -6.3154 1.8734 -0.188
C -1.3118 -7.1345 3.0117 -0.112
N 1.2593 -6.9891 0.3547 0.039
H 1.3479 -8.0685 2.7651 0.063
H 2.9516 -7.3887 2.5268 0.076
H 1.8435 -6.6345 3.6800 0.077
H 2.1529 -5.4391 1.4381 0.127
H -0.0863 -4.6908 1.2174 0.108
H 0.1301 -4.9972 2.9321 0.116
H -0.9992 -6.6454 3.9393 0.089
H -0.7961 -8.0879 2.8890 0.070
H -2.3830 -7.3482 3.0762 0.087
H 1.0134 -6.3520 -0.4045 0.064
H 0.4283 -7.5791 0.4527 0.072
C 0.4658 1.8020 5.1980 -0.076
C 0.9659 0.3691 5.0407 -0.432
C 2.1083 0.2233 4.0085 -0.197
O 1.6800 0.2741 2.6450 -0.216
C 1.4812 1.5858 2.1414 -0.093
N -0.1736 -0.5012 4.7099 0.035
H -0.1762 2.1197 4.3720 0.067
H -0.1264 1.8995 6.1155 0.076
H 1.3030 2.5042 5.2684 0.078
H 1.3628 0.0567 6.0147 0.131
H 2.5536 -0.7710 4.1387 0.118
H 2.9117 0.9466 4.1905 0.116
H 2.1919 2.3032 2.5632 0.092
H 0.4559 1.9066 2.3306 0.079
H 1.6200 1.5572 1.0565 0.083
H 0.1474 -1.4705 4.7044 0.067
H -0.4171 -0.3226 3.7316 0.072



Record 2
22
Properties=species:S:1:pos:R:3:lowdin_charge:R:1 method="wB97M-V/def2-TZVPD" lumo_energy_ev=-5.73 gap_ev=6.72 max_force_ev_per_a=4.01 relative_energy_kj_mol=223.38 total_charge=+1 homo_energy_ev=-12.45 e_tot_ev=-12018.233
C -0.0066 0.1352 -0.5885 -0.247
C 0.7744 1.0047 -1.2961 -0.241
C -1.4536 -1.4292 0.2854 0.014
C 0.4713 1.7256 0.7933 -0.298
C -0.7671 -1.1646 -0.9782 -0.053
C 1.4240 0.8297 -2.6099 0.019
C -0.9209 -2.3034 1.2437 -0.036
C 0.7883 2.4910 2.0317 0.022
N -0.2726 0.6624 0.6208 0.149
O 1.1756 1.9270 -0.3864 0.124
H 0.1028 -1.9596 -1.1409 0.189
H -1.4140 -0.7518 -1.7953 0.160
H -2.3882 -0.9620 0.6109 0.159
H 2.5065 0.7138 -2.4676 0.107
H 1.3796 1.7858 -3.1959 0.116
H 0.9211 0.0813 -3.1399 0.067
H 0.1916 -2.4049 1.1537 0.138
H -1.6013 -3.0944 1.1192 0.120
H -1.2148 -2.1720 2.3683 0.170
H 1.5812 1.9407 2.5337 0.088
H -0.1628 2.5772 2.7755 0.158
H 1.1579 3.4041 1.6233 0.074



Record 3
20
Properties=species:S:1:pos:R:3:lowdin_charge:R:1 method="wB97M-V/def2-TZVPD" lumo_energy_ev=0.26 smiles=CCCCC.C#P gap_ev=10.40 max_force_ev_per_a=4.95 relative_energy_kj_mol=231.20 homo_energy_ev=-10.14 e_tot_ev=-15718.595
C 0.0859 2.0401 0.8367 -0.117
C 0.2761 0.8692 -0.1694 -0.266
C 0.5179 -0.6154 0.3507 -0.303
C 0.4400 -1.6574 -0.6562 -0.274
C 0.5974 -3.0017 0.1758 -0.080
H 0.3682 1.8109 1.8851 0.079
H -0.9626 2.1817 0.9021 0.044
H 0.5622 2.8863 0.4022 0.048
H 1.1639 1.0427 -0.8580 0.073
H -0.6733 0.7738 -0.8883 0.133
........
Result:
Record 1
75
Properties=species:S:1:pos:R:3:lowdin_charge:R:1 method="wB97M-V/def2-TZVPD" lumo_energy_ev=1.89 gap_ev=6.85 max_force_ev_per_a=4.68 relative_energy_kj_mol=332.58 total_charge=-1 homo_energy_ev=-4.96 e_tot_ev=-116844.598
C -4.4037 6.0382 -1.6204 -0.180
C -4.5135 5.6842 -3.2402 -0.340
C -3.8893 6.8428 -4.2181 -0.793
Br -4.2005 8.7254 -3.6045 0.447
Al -1.8819 6.6190 -4.6413 0.179
C -1.2057 4.6906 -4.4630 -0.235
C 0.0935 4.4999 -3.4739 -0.297
O 0.5212 5.7495 -2.8016 -0.138
C -0.1806 3.2489 -2.4053 -0.194
F -0.8270 2.0702 -3.0316 -0.002
F 1.1490 2.7566 -1.8836 -0.042
F -1.0231 3.7621 -1.2998 0.011
H -5.0051 7.0122 -1.3238 0.050
H -3.2962 6.1115 -1.2495 0.076
H -4.9007 5.1452 -1.0380 0.063
H -5.6793 5.6312 -3.4806 0.096
H -4.1033 4.5978 -3.4371 0.089
H -4.4500 6.7428 -5.2674 0.049
H -1.7210 7.0183 -6.1958 -0.110
H -0.9474 7.6464 -3.8379 -0.093
H -0.9046 4.2528 -5.5211 0.067
H -2.0958 4.0324 -4.0772 0.044
H 1.0185 4.1457 -4.1370 0.156
H 1.5171 5.8356 -2.9954 0.123
C 1.2033 -1.6966 0.1437 -0.073
C 1.3575 -2.7979 -0.9009 -0.431
C 2.3157 -2.4241 -2.0559 -0.198
O 1.7566 -1.5248 -3.0172 -0.191
C 1.7931 -0.1593 -2.6329 -0.115
N 0.0254 -3.1688 -1.4044 0.040
H 0.5566 -0.8816 -0.1922 0.073
H 0.7548 -2.1006 1.0590 0.069
H 2.1760 -1.2712 0.4118 0.078
H 1.7846 -3.6700 -0.3903 0.115
H 2.5450 -3.3417 -2.6121 0.118
H 3.2729 -2.0448 -1.6797 0.116
H 2.6864 0.0827 -2.0489 0.091
H 0.8907 0.0955 -2.0753 0.062
H 1.7981 0.4490 -3.5424 0.090
H 0.1244 -3.9721 -2.0271 0.069
H -0.2827 -2.4174 -2.0278 0.076
C 1.9016 -7.1278 2.7042 -0.078
C 1.3896 -6.2111 1.5971 -0.432
C 0.0697 -5.4887 1.9541 -0.194
O -1.0945 -6.3154 1.8734 -0.188
C -1.3118 -7.1345 3.0117 -0.112
N 1.2593 -6.9891 0.3547 0.039
H 1.3479 -8.0685 2.7651 0.063
H 2.9516 -7.3887 2.5268 0.076
H 1.8435 -6.6345 3.6800 0.077
H 2.1529 -5.4391 1.4381 0.127
H -0.0863 -4.6908 1.2174 0.108
H 0.1301 -4.9972 2.9321 0.116
H -0.9992 -6.6454 3.9393 0.089
H -0.7961 -8.0879 2.8890 0.070
H -2.3830 -7.3482 3.0762 0.087
H 1.0134 -6.3520 -0.4045 0.064
H 0.4283 -7.5791 0.4527 0.072
C 0.4658 1.8020 5.1980 -0.076
C 0.9659 0.3691 5.0407 -0.432
C 2.1083 0.2233 4.0085 -0.197
O 1.6800 0.2741 2.6450 -0.216
C 1.4812 1.5858 2.1414 -0.093
N -0.1736 -0.5012 4.7099 0.035
H -0.1762 2.1197 4.3720 0.067
H -0.1264 1.8995 6.1155 0.076
H 1.3030 2.5042 5.2684 0.078
H 1.3628 0.0567 6.0147 0.131
H 2.5536 -0.7710 4.1387 0.118
H 2.9117 0.9466 4.1905 0.116
H 2.1919 2.3032 2.5632 0.092
H 0.4559 1.9066 2.3306 0.079
H 1.6200 1.5572 1.0565 0.083
H 0.1474 -1.4705 4.7044 0.067
H -0.4171 -0.3226 3.7316 0.072



Record 2
22
Properties=species:S:1:pos:R:3:lowdin_charge:R:1 method="wB97M-V/def2-TZVPD" lumo_energy_ev=-5.73 gap_ev=6.72 max_force_ev_per_a=4.01 relative_energy_kj_mol=223.38 total_charge=+1 homo_energy_ev=-12.45 e_tot_ev=-12018.233
C -0.0066 0.1352 -0.5885 -0.247
C 0.7744 1.0047 -1.2961 -0.241